Drugs in the family: Learning from daughter's addiction, teaching others to cope
Kansas City Star
Dealing with her daughter's addiction was like "going through hell," Barden said. But with help, Sarah is now in recovery. She was treated at Henry Ford Maplegrove Center in West Bloomfield, Mich., and has been clean for three years. ...
Former drug addict now helps out those in need
Vanier said it's the least he can do to try to contact people who are mired in a life of addiction and crime. He credits Nanaimo's Surfside Recovery House and an understanding judge for helping him get his life back on track. "I was an alcoholic and ...
Solutions to Genetically Predisposed Individuals Suffering From Alcohol and ...
MarketWatch (press release)
This further emphasizes the need for alcoholism treatment and, more generally, addiction treatment. Recognizing and attending to any likely causes of addiction must be appreciated for rehabilitation to remain effective. Addiction treatment centers such ...
Alcoholic's drunken rant after waking up in hospital
Burton Mail
by JOSH TAYLOR AN alcoholic slapped with an ASBO for his drunken antics has again been hauled before the courts after a boozefuelled outburst at Burton's Queen's Hospital. John Kedzierski, 56, woke up in hospital after suffering an alcoholicblackout. ...

Burton Mail
Heroin addict, 47, died of overdose 3 months after leaving prison
Stoke & Staffordshire
A 47-YEAR-OLD died from a drug overdose just three months after being released from prison, an inquest heard. Isaac Price collapsed and died in the bedroom of his home on February 4 last year. An inquest held yesterday heard Mr Price was a violent ...
Drug addict prostitutes jailed for mugging Coventry woman, 81
Coventry Telegraph
By Duncan Gibbons TWO drug-addicted prostitutes have been jailed for mugging an 81-year-old of her bed-ridden husband's pension. Kelly Cardwell and Caroline Brown attacked the frail old woman in Coventry after watching her collect £400 from a post ...
Estonia: TB and alcoholism
GlobalPost (blog)
Their alcoholic father or mother gave it to them.” In Estonia, 41 percent of the country's 330 new TB cases last year were patients who were considered alcoholics. Another 7 percent were drug abusers, according to the country's tracking of TB cases. ...
Pill addiction story heartbreaking, hopeful
And they demonstrate that the path from the depths of addiction to a productive life is often one step up and two steps back even for those who are desperate to escape the grip of drugs and have the help of family and others. ...

In New Book Writer and Photographer Explore Inner Wild in the Midst of Nature ...
San Francisco Chronicle (press release)
Ex-con and wildlife photographer, Don Moseman, shares recovery from addiction and love of the natural world with English-born writer Mary Reynolds Thompson. Through his lens and her words, outer nature and inner spirit are explored in "Embrace Your ...
1835 House helping addicts rebuild lives
Calgary Herald
"I drank to blackout a lot in those days." He said he grew up with an alcoholic father and schizophrenic mother, although he won't blame them for his addiction. Pot and hash came at 15, before he became what he calls a "garbage can addict. ...
Hospital promises subsidized rates for test to diagnose liver problems
Times of India
Kerala tops India's alcohol consumption charts and alcoholic or alcohol-induced liver diseases likealcoholic fatty liver, alcoholic hepatitis and alcoholic cirrhosis are becoming quite common. As the capital records more liver disease, a city-based ...
Friday's letters: Commendable account of addiction, hope
This ongoing and escalating issue is a plague in our society, and our beautiful state of Florida has the "black cloud" of addiction surrounding us. My children, now young adults, have friends and classmates who have died from this; I have friends whose ...
Major roots of crime in Nigeria
Moment Nigerian Newspapers
Alcoholism and drug addiction expose an individual to danger. What do Nigerians gain from alchohol and hard drugs? A drug addict is an 'insured' person against good health. The medical damage of these viruses has gone beyond paper explanation. ...
Chris Jacquemain: From a Life on the Football Field to a Death by Drugs
Tragically, an addiction to opiates squelched his tremendous potential and took everything away from him. Now, members of Jacquemain's family are telling his story in hopes that others can avoid the mistakes he made and the struggle that ultimately ...
Lil Boosie Says He's a Drug Addict | Alta Mira Recovery Programs
He says that, as a drug addict, he intends to take full advantage of the time inside to get the help he needs to fight that addiction and get the treatment he needs. Says Lil Boosie to TMZ: “Don't worry about me. I am getting help with my drug ...
Alta Mira Recovery Programs » News
Kansas City Star
Dealing with her daughter's addiction was like "going through hell," Barden said. But with help, Sarah is now in recovery. She was treated at Henry Ford Maplegrove Center in West Bloomfield, Mich., and has been clean for three years. ...
Former drug addict now helps out those in need
Vanier said it's the least he can do to try to contact people who are mired in a life of addiction and crime. He credits Nanaimo's Surfside Recovery House and an understanding judge for helping him get his life back on track. "I was an alcoholic and ...
Solutions to Genetically Predisposed Individuals Suffering From Alcohol and ...
MarketWatch (press release)
This further emphasizes the need for alcoholism treatment and, more generally, addiction treatment. Recognizing and attending to any likely causes of addiction must be appreciated for rehabilitation to remain effective. Addiction treatment centers such ...
Alcoholic's drunken rant after waking up in hospital
• What comes next are data records, not part of the text:
-- begin --
No. 1
First-principles (meta-GGA r2SCAN) data for crystalline Lu3SbO7 at its relaxed geometry, as listed in Materials Project.

The calculated total energy is -19.87 eV per atom.

Cell lengths 7.2844, 10.2468, 7.2881 Å; angles 90.00, 90.00, 90.00 degrees
Space group C222_1 (No. 20)
Unique sites:
1 Lu 0.0112 0.0000 0.0000 [4 per cell]
2 Lu 0.2337 0.2651 0.7525 [8 per cell]
3 Sb 0.9997 0.5000 0.0000 [4 per cell]
4 O 0.0000 0.1303 0.2500 [4 per cell]
5 O 0.0000 0.1386 0.7500 [4 per cell]
6 O 0.0000 0.4256 0.7500 [4 per cell]
7 O 0.1955 0.3723 0.0344 [8 per cell]
8 O 0.2033 0.3752 0.4701 [8 per cell]


No. 2
First-principles (meta-GGA r2SCAN) data for crystalline Lu3Sb5O12 at its relaxed geometry, as listed in Materials Project.

The calculated total energy is -18.21 eV per atom.

Cell lengths 10.5912, 10.5912, 10.5912 Å; angles 90.00, 90.00, 90.00 degrees
Space group I-43m (No. 217)
Unique sites:
1 Lu 0.0000 0.2500 0.5000 [12 per cell]
2 Sb 0.0000 0.0000 0.2823 [12 per cell]
3 Sb 0.2395 0.2395 0.2395 [8 per cell]
4 O 0.1002 0.3982 0.6018 [24 per cell]
5 O 0.1395 0.1395 0.6581 [24 per cell]


No. 3
First-principles (meta-GGA r2SCAN) data for crystalline Lu2SeO2 at its relaxed geometry, as listed in Materials Project.

The calculated total energy is -23.98 eV per atom.

Cell lengths 3.7161, 3.7161, 6.6468 Å; angles 90.00, 90.00, 120.00 degrees
Space group P-3m1 (No. 164)
Unique sites:
1 Lu 0.3333 0.6667 0.2932 [2 per cell]
2 Se 0.0000 0.0000 0.0000 [1 per cell]
3 O 0.3333 0.6667 0.6251 [2 per cell]


No. 4
First-principles (meta-GGA r2SCAN) data for crystalline Lu2Si2O7 at its relaxed geometry, as listed in Materials Project.

The calculated total energy is -15.91 eV per atom.

Cell lengths 6.7075, 8.7625, 4.7128 Å; angles 90.00, 102.20, 90.00 degrees
Space group C2/m (No. 12)
Unique sites:
1 Lu 0.0000 0.1922 0.0000 [4 per cell]
2 Si 0.2210 0.5000 0.4108 [4 per cell]
3 O 0.0000 0.5000 0.5000 [2 per cell]
4 O 0.1132 0.0000 0.2833 [4 per cell]
5 O 0.2364 0.3472 0.2181 [8 per cell]


Which value of calculated total energy does entry 4 give? -15.91 eV per atom
-- stop --
• Back to the text:
Burton Mail
by JOSH TAYLOR AN alcoholic slapped with an ASBO for his drunken antics has again been hauled before the courts after a boozefuelled outburst at Burton's Queen's Hospital. John Kedzierski, 56, woke up in hospital after suffering an alcoholicblackout. ...
Burton Mail
Heroin addict, 47, died of overdose 3 months after leaving prison
Stoke & Staffordshire
A 47-YEAR-OLD died from a drug overdose just three months after being released from prison, an inquest heard. Isaac Price collapsed and died in the bedroom of his home on February 4 last year. An inquest held yesterday heard Mr Price was a violent ...
Drug addict prostitutes jailed for mugging Coventry woman, 81
Coventry Telegraph
By Duncan Gibbons TWO drug-addicted prostitutes have been jailed for mugging an 81-year-old of her bed-ridden husband's pension. Kelly Cardwell and Caroline Brown attacked the frail old woman in Coventry after watching her collect £400 from a post ...
Estonia: TB and alcoholism
GlobalPost (blog)
Their alcoholic father or mother gave it to them.” In Estonia, 41 percent of the country's 330 new TB cases last year were patients who were considered alcoholics. Another 7 percent were drug abusers, according to the country's tracking of TB cases. ...
Pill addiction story heartbreaking, hopeful
And they demonstrate that the path from the depths of addiction to a productive life is often one step up and two steps back even for those who are desperate to escape the grip of drugs and have the help of family and others. ...
In New Book Writer and Photographer Explore Inner Wild in the Midst of Nature ...
San Francisco Chronicle (press release)
Ex-con and wildlife photographer, Don Moseman, shares recovery from addiction and love of the natural world with English-born writer Mary Reynolds Thompson. Through his lens and her words, outer nature and inner spirit are explored in "Embrace Your ...
1835 House helping addicts rebuild lives
Calgary Herald
"I drank to blackout a lot in those days." He said he grew up with an alcoholic father and schizophrenic mother, although he won't blame them for his addiction. Pot and hash came at 15, before he became what he calls a "garbage can addict. ...
Hospital promises subsidized rates for test to diagnose liver problems
Times of India
Kerala tops India's alcohol consumption charts and alcoholic or alcohol-induced liver diseases likealcoholic fatty liver, alcoholic hepatitis and alcoholic cirrhosis are becoming quite common. As the capital records more liver disease, a city-based ...
Friday's letters: Commendable account of addiction, hope
This ongoing and escalating issue is a plague in our society, and our beautiful state of Florida has the "black cloud" of addiction surrounding us. My children, now young adults, have friends and classmates who have died from this; I have friends whose ...
Major roots of crime in Nigeria
Moment Nigerian Newspapers
Alcoholism and drug addiction expose an individual to danger. What do Nigerians gain from alchohol and hard drugs? A drug addict is an 'insured' person against good health. The medical damage of these viruses has gone beyond paper explanation. ...
Chris Jacquemain: From a Life on the Football Field to a Death by Drugs
Tragically, an addiction to opiates squelched his tremendous potential and took everything away from him. Now, members of Jacquemain's family are telling his story in hopes that others can avoid the mistakes he made and the struggle that ultimately ...
Lil Boosie Says He's a Drug Addict | Alta Mira Recovery Programs
He says that, as a drug addict, he intends to take full advantage of the time inside to get the help he needs to fight that addiction and get the treatment he needs. Says Lil Boosie to TMZ: “Don't worry about me. I am getting help with my drug ...
Alta Mira Recovery Programs » News
Free will vs. addiction | Addiction & Recovery News
By Jason Schwartz
Although addiction may be defined and operationalized in a number of different ways, the heart and core of the concept lies in its implication of the loss of the ability to choose – that is, the loss of free will. Hence, and logically, the concept of ...
Addiction & Recovery News
Humor: Bio of an Alcoholic... - SoberRecovery : Alcoholism Drug ...
By m1k3
I found this on someone's blog who is an A. I wish I would have kept the link but here it is: AnAlcoholic Biography. ... SoberRecovery : Alcoholism Drug Addiction Help and Information > Friends and Family > Friends and Family of Alcoholics ...
What to Expect From Alcohol Detox | Drug Addiction Treatment
By Drug Addiction
... a drug that is no respecter of persons. Addiction to alcohol affects men and women, young and old, and people from every socio-economic stratum. ... Detox clinics are a way an alcoholic can get that help. Detox Begins With a Health Check ...
Drug Addiction Treatment
The Way Out